Stanford releases open-source camera software
To advance research into open-source software for programmable cameras, Stanford photography researchers are taking an unusual approach ? giving away cameras to scientists at other universities.
Armed with a $1 million grant from the National Science Foundation (to be shared with colleagues at MIT,) Stanford will produce professional-style, single-lens reflex (SLR) cameras, equipped with the “Frankencamera” open-source software platform, for free distribution to computational photography professors around the country.
Non-academics may buy the camera at cost. Plans call for the cameras to be available within a year.
Going down a second avenue, the research team has struck an agreement with Nokia, the cell phone company. Frankencamera, which allows users to create novel camera capabilities, is now available as a free download for Nokia N900 “mobile computers.”
“We’re going public with Frankencamera,” said Stanford computer science and electrical engineering professor Marc Levoy, who leads the project. “We are releasing code so that people can create new imaging applications on their Nokia N900s.”
Program and shoot
Next week at the SIGGRAPH conference in Los Angeles, the Frankencamera engineering team will describe the platform and several sample apps created with it.
Computational photography refers to the ways computers can extend the capabilities of digital imaging by combining multiple photographs taken with different camera settings to create an image that could not be taken in a single shot, or with an ordinary camera.
Some of these new ways of combining images can be done in Photoshop or another such program, but until now they could not be done inside the camera, Levoy said. That’s because commercial cameras are closed to development by all but their manufacturers. Frankencamera, on the other hand, brings computational photography directly to the camera, by making the camera a programmable platform.
Frankencamera began in 2006 when Levoy and Kari Pulli, a Nokia Fellow who heads a research team at Nokia Research Center (NRC) Palo Alto, and a former research associate in Levoy’s lab, reasoned that computational photography shouldn’t be relegated to klunky research equipment in academic labs, as it has been for years. Instead it should be developed for use in the field on portable, consumer-friendly cameras.
“We thought it was time to make the research more nimble and get the results into smaller form-factors,” said Pulli. “At NRC, we believe in an open innovation model that enables consumers and university researchers to use our research algorithms, and add their own, to create even more interesting capabilities.”
At SIGGRAPH the researchers will describe how the Frankencamera platform exposes all the photographic and computational hardware on the camera ? light sensors, flashes, focus, shutters and image processors ? to a programmer’s control through a software interface. The interface is part of a software “stack” that brings together familiar programming elements: a Linux operating system and the ubiquitous C++ programming language.
“The N900 is a camera phone, but it runs a version of Linux almost as complete as that installed on personal computers,” Pulli said.
Between two parts of the page: calculated crystals:
Computed XRD peak list
Compound: Ga11Pb
Radiation: copper Kα
Structure: a DFT-relaxed cell (GGA-PBE, Alexandria)
Lines closer than 0.1° are merged.

Atomic structure:
```
Ga11Pb
1.0
-5.4656 5.4656 4.0899
5.4656 -5.4656 4.0899
5.4656 5.4656 -4.0899
Ga Pb
22 2
Direct
0.0000 0.0000 0.0000
0.0000 0.0000 0.5000
0.0000 0.5000 0.0000
0.1119 0.5384 0.3308
0.1119 0.7812 0.5736
0.1250 0.8750 0.2500
0.2188 0.2924 0.3308
0.2188 0.8881 0.9264
0.2924 0.2188 0.8308
0.2924 0.4616 0.0736
0.4616 0.2924 0.5736
0.4616 0.8881 0.1692
0.5000 0.0000 0.5000
0.5384 0.1119 0.8308
0.5384 0.7076 0.4264
0.7076 0.5384 0.9264
0.7076 0.7812 0.1692
0.7812 0.1119 0.0736
0.7812 0.7076 0.6692
0.8750 0.1250 0.7500
0.8881 0.2188 0.4264
0.8881 0.4616 0.6692
0.3750 0.6250 0.7500
0.6250 0.3750 0.2500
```

Principal peaks in the range 2θ from 15° to 90°, sorted by position:
2θ/deg  d [Å]  I/Imax
24.63  3.615  10
31.47  2.843  28
33.94  2.641  100
36.77  2.444  37
42.82  2.112  18
43.11  2.098  10
46.07  1.970  9
47.87  1.900  11
58.88  1.568  13
64.43  1.446  21

~~~~~

Simulated powder diffraction line list of MoIr2Pd for copper Kα, from a DFT-relaxed cell (PBE, OQMD).
Intensities are scaled so that the largest is 100.

```
MoIr2Pd
1.0
4.4378 0.0000 0.0000
0.0000 2.7690 4.8236
0.0000 -2.7690 4.8236
Mo Ir Pd
2 4 2
Direct
0.0000 0.0000 0.0000
0.5000 0.3384 0.3384
0.0000 0.5028 0.5028
0.5000 0.3375 0.8333
0.5000 0.8333 0.3375
0.5000 0.8395 0.8395
0.0000 0.0031 0.4983
0.0000 0.4983 0.0031
```

Largest 10 diffraction maxima, in order of rising 2θ, 2θ from 10° to 80°:
2θ = 37.3°, d 2.412, I 12
2θ = 37.4°, d 2.401, I 27
2θ = 40.7°, d 2.219, I 39
2θ = 42.7°, d 2.119, I 53
2θ = 42.8°, d 2.112, I 100
2θ = 56.5°, d 1.630, I 17
2θ = 67.3°, d 1.390, I 17
2θ = 67.7°, d 1.384, I 9
2θ = 75.4°, d 1.261, I 10
2θ = 75.5°, d 1.259, I 19

~~~~~

(1)
This entry pairs a crystal structure of Pu7CdPt4 with its theoretical X-ray powder pattern. Radiation: CuKα. Structure: a structure optimized by DFT (GGA-PBE).

Principal peaks in the range 10 to 90 degrees two-theta, low angle first:
h k l, 2theta, intensity
4 0 0, 31.59, 75
0 2 0, 31.98, 100
1 1 -3, 34.13, 42
3 1 -3, 37.42, 35
4 0 -3, 38.05, 67
4 2 0, 45.56, 56

Cell and atoms:
abc: 11.7876 5.5975 8.9292
angles: 90.00 106.01 90.00
Space group C2/m (No. 12)
One atom of each set of equivalent atoms:
Pu  0.0000  0.0000  0.0000 [2 per cell]
Pu  0.0359  0.5000  0.6774 [4 per cell]
Pu  0.2287  0.0000  0.9098 [4 per cell]
Pu  0.2367  0.0000  0.5958 [4 per cell]
Cd  0.0000  0.5000  0.0000 [2 per cell]
Pt  0.0066  0.0000  0.3425 [4 per cell]
Pt  0.2213  0.0000  0.2447 [4 per cell]

(2)
This entry pairs a crystal structure of Rb2Cd5Pt2 with its theoretical X-ray powder pattern. Radiation: CuKα. Structure: a structure optimized by DFT (GGA-PBE).

Principal peaks in the range 10 to 90 degrees two-theta, low angle first:
h k l, 2theta, intensity
0 0 2, 16.10, 71
1 0 0, 16.70, 45
1 0 2, 23.28, 77
0 0 4, 32.53, 54
2 0 0, 33.78, 100
2 0 4, 47.60, 74

Cell and atoms:
Putting the “app” in aperture
To help demonstrate and inspire development with Frankencamera, the team will discuss six apps they’ve created on the platform. Using a prototype of their SLR version, for example, Levoy’s group hooked two flashes to the camera and programmed one to blink like a strobe light and the other to fire at the end of the strobe sequence. Then they flung some playing cards in the air. The result was a shot that captured the cards’ trajectories and also caught them still in mid-air with remarkable clarity.
Fine control of multiple flashes may yield captivating art, but sometimes photographers are caught with terrible lighting conditions that a flash can’t solve. Confronted with inadequate light, a photographer with a conventional camera must choose either a quick exposure that will look sharp, but dark and noisy, or a long exposure that will have enough light, but will likely be blurry.
An app called “low-light imaging” shoots both exposure speeds in rapid succession and then automatically combines them, resulting in a photo that is both bright and sharp.
Another app offers a different take on the low-light problem. Dubbed “lucky imaging,” the app takes advantage of a motion sensor attached to the Nokia N900 to prevent shaky hands from adding blur to a long exposure. In this mode, the camera shoots constantly but only stores images taken when the camera is at its most still. The result is the sharpest possible image.
Levoy said he hopes the entire computational photography community will step forward with other ideas and that they will share them with each other online. The apps will be found through the Frankencamera project website.
For Levoy, a key question is whether commercial manufacturers ? both of dedicated cameras and camera smart phones ? will also open up their platforms. Since the Frankencamera effort was first publicized last fall, Levoy said, he has had a steady stream of meetings, especially with smart phone makers.
“What we’re hoping is that if making your camera programmable adds value to the camera that this could shift the entire camera industry,” Levoy said. “We’d like to democratize cameras the way that the Maker Faire is democratizing crafts so that anyone can play the game.”
In addition to Nokia Research Center, funding comes from Adobe Systems, Kodak, Hewlett-Packard and the Walt Disney Company. In addition to authors at Stanford and NRC, other authors on the SIGGRAPH paper are affiliated with Ulm University in Germany, the University of California-Santa Barbara and Disney Research in Zurich, Switzerland.
“We’re going public with Frankencamera,” said Stanford computer science and electrical engineering professor Marc Levoy, who leads the project. “We are releasing code so that people can create new imaging applications on their Nokia N900s.”
In addition, the researchers have been awarded a $1 million grant from the National Science Foundation, shared with colleagues at MIT, to begin making professional-style, single-lens reflex (SLR) cameras, equipped with the software platform, for free distribution to computational photography professors around the country. Non-academics could buy the camera at cost. Levoy said he expects those cameras will be available within a year.
To help demonstrate and inspire development with Frankencamera, the team will discuss six apps they’ve created on the platform. Using a prototype of their SLR version, for example, Levoy’s group hooked two flashes to the camera and programmed one to blink like a strobe light and the other to fire at the end of the strobe sequence. Then they flung some playing cards in the air. The result was a shot that captured the cards’ trajectories and also caught them still in mid-air with remarkable clarity.
Fine control of multiple flashes may yield captivating art, but sometimes photographers are caught with terrible lighting conditions that a flash can’t solve. Confronted with inadequate light, a photographer with a conventional camera must choose either a quick exposure that will look sharp, but dark and noisy, or a long exposure that will have enough light, but will likely be blurry.
An app called “low-light imaging” shoots both exposure speeds in rapid succession and then automatically combines them, resulting in a photo that is both bright and sharp.
Another app offers a different take on the low-light problem. Dubbed “lucky imaging,” the app takes advantage of a motion sensor attached to the Nokia N900 to prevent shaky hands from adding blur to a long exposure. In this mode, the camera shoots constantly but only stores images taken when the camera is at its most still. The result is the sharpest possible image.
Levoy said he hopes the entire computational photography community will step forward with other ideas and that they will share them with each other online. The apps will be found through the Frankencamera project website.
For Levoy, a key question is whether commercial manufacturers ? both of dedicated cameras and camera smart phones ? will also open up their platforms. Since the Frankencamera effort was first publicized last fall, Levoy said, he has had a steady stream of meetings, especially with smart phone makers.
“What we’re hoping is that if making your camera programmable adds value to the camera that this could shift the entire camera industry,” Levoy said. “We’d like to democratize cameras the way that the Maker Faire is democratizing crafts so that anyone can play the game.”
In addition to Nokia Research Center, funding comes from Adobe Systems, Kodak, Hewlett-Packard and the Walt Disney Company. In addition to authors at Stanford and NRC, other authors on the SIGGRAPH paper are affiliated with Ulm University in Germany, the University of California-Santa Barbara and Disney Research in Zurich, Switzerland.